On Monday Vremya MN wrote: “Yevgeny Primakov, who announced that he will not run for president, amazed nobody by this news.” Perhaps that is so. However, according to media reaction to the former prime minister’s “final decision” announced last Friday, something different had been expected from Primakov.

Nezavisimaya Gazeta notes: “Even after Fatherland-All Russia suffered defeat in the parliamentary election, various estimates of Primakov’s popularity rating served as evidence that the country was seeing him as the third top candidate for president. Apart from that, the deputy mandate allowed Primakov to actively hold his presidential campaign and might well have brought him additional votes.”

However, Primakov refused to struggle. Vremya MN explains this decision by “Primakov’s extreme maladjustment to modern-day political reality” and quotes him as saying, “I felt that our society falls short of… real democracy.” The paper comments on Primakov’s statement as follows: “We have never heard such a reason before, for usually this is exactly the reasoning politicians use to prove their own value to society, adding, ‘But there is one person who can improve everything, and you know who it is.’ However, Primakov took precisely the opposite action.”

We should note that Primakov’s decision to bow out of the presidential race was announced exactly two days after Mayor of Moscow Yury Luzhkov, “Primakov’s most loyal admirer”, said that he “would not be Putin’s rival in the presidential election” and, in general, “is ready for any compromise”.

Izvestia holds the opinion that in this situation Primakov showed an unbelievable degree of naivete: “As it has turned out, the former director of the Foreign Intelligence Service is too credulous. At first he believed that someone would be thankful to him for his assistance after the August 1998 financial collapse; later he believed in Luzhkov’s guarantees to him; finally, he believed that someone would really opt for his experience and honesty when appointing the Duma speaker. However, Seleznev’s controllability won the upper hand.” Now, the paper believes, the best option “the Kremlin’s former chief opponent” may count on is “a sympathetic offer of a minor post in the executive branch”.

Kommersant-daily takes Primakov’s decision to be fairly logical for a politician who failed to adjust himself to the new political situation: “Primakov is used to serving the state, making statements or keeping silent on behalf of the state… Soviet politicians do not exist outside the state, for in that case they must act of their own accord, and a Soviet politician, by definition, has nothing of their own.”

The main flaw of which Nezavisimaya Gazeta accuses Primakov is that when leaving the political stage, he “did not share his rating with anybody”. The paper believes that after Primakov had decided not to run for president, he should have “given relevant instructions – whom to vote for – to the part of the electorate that would otherwise have voted for him”. However, Primakov did nothing of the kind. “He helped neither the Communists, to whom he had often been accused of being too close, nor Grigory Yavlinsky, who was, after all, his ally (even if not a complete ally) in the Duma protest coalition.”

Finally, Segodnya published its own explanation of the reasons why Primakov refused to run in the presidential race. According to the paper, Primakov made the said decision after a meeting with Putin: “Primakov was given to understand that running in the presidential election would cost him dearly – for instance, the former prime minister could be subjected to even more violent TV attacks than during the parliamentary campaign.” In other words, the paper asserts that one of the potential rivals of the “main candidate” was subjected to open pressure.

Segodnya maintains that now that Primakov has refused to struggle for the presidency, the last candidate really capable of depriving Putin of “the sweetness of a victory in the first round of voting” has disappeared. From now on, according to the paper, “Putin might as well hang loose and take no interest whatsoever in the presidential campaign – he will win the election hands down.”

Currently, Putin’s team has other fish to fry. The Presidential Administration has already prepared draft amendments to the Constitution on extending a president’s term in office by three years – making seven years instead of the current four. Rumor has it that this idea “belongs personally to Putin”. Segodnya takes such a development to be fairly likely: “Indeed, what’s the problem here? The acting president has ‘tamed’ two-thirds of Parliament, and the majority of senators have already pledged allegiance to him.”

This viewpoint is shared by Novaya Gazeta”, which puts it bluntly, “Putin needs the Duma as an instrument for extending his term in office… Hence his support for the Communists during the distribution of parliamentary posts, his overtures to Kirienko and Gryzlov, etc….” According to the paper, the main topic currently being discussed in the Kremlin is the possible extension of Putin’s term in office.

“Yeltsin, who became Russian president in his sixties, (…) considered two four-year presidential terms to be enough. Putin, 47, who is currently preparing to become president, will be only 55 even after a second four-year term. And what should he do then? Retire?” It appears to be much wiser to see to it beforehand that the presidential term in office is extended “at least to match the French or British seven-year term.”

Moskovskie Novosti weekly is pessimistic about the electoral chances of Putin’s two major rivals, Gennady Zyuganov and Grigory Yavlinsky. The paper compares the current situation with the 1996 presidential election: “Four years ago Boris Yeltsin’s two most significant rivals had their own electorate, their own support, and their own resources.” Zyuganov’s supporters dreamed about restoration of the former Soviet order, Yavlinsky’s supporters about a new democratic society.

Currently we may state that neither group’s dreams have come true in the past four years.

Putin intends to radically reform the hierarchy of power. According to Segodnya with reference to Putin’s speech at an expanded board meeting of the Ministry of Justice, the acting president is planning to start fighting “laxity” in the regions which managed to “lay their hands on more sovereignty than others” under Boris Yeltsin. The matter primarily concerns Tatarstan and Bashkortostan. Putin drew the board’s attention to certain discrepancies between the two republics’ laws and federal legislation. He warned the board that these discrepancies may well “acquire a critical mass capable of exploding, and severing, the integrated constitutional system in this country.” The republics took these statements seriously; Segodnya even assumes that “Mintimer Shaimiev and Murtaza Rakhimov, along with Mayor of Moscow Yury Luzhkov, may well restore the opposition in the Federation Council.”

Nezavisimaya Gazeta writes about personnel reshuffles in the Presidential Administration. Although there have not been many such reshuffles yet, and they cannot be considered significant, the paper believes that they allow us “to draw certain conclusions as to what the Putin administration will look like when Putin becomes the full-fledged president.” Nezavisimaya Gazeta states that the acting president’s working style greatly differs from “the ‘style of chess players’ that was so dear to Yeltsin.” Therefore, the paper predicts, “little by little, the need for ‘great contrivers’ of the Yeltsin administration will cease to exist at all.”

Nevertheless, at the end of the article the paper drops a hint – Putin should not be in such a hurry to dispense with the services of tested and reliable people. “For nobody can say for sure that Putin’s rating will not fall.” So far, there is sense in preserving in Putin’s team those who can “improve any situation”.

Novoe Vremya magazine, in turn, states that “Putin is only starting to work out his own presidential style.” The only clear thing so far, the magazine predicts, is that “after March 26 an absolutely different life will begin, when neither Putin nor his administration will encounter any obstacles whatsoever on the way to fulfillment of their own plans – the plans we as yet know nothing about, save for mere hints.”

However, these hints are becoming less and less ambiguous. The fate of Radio Liberty correspondent Andrei Babitsky became a good occasion, after all, for asking a direct question: “What are we driving at?” (an article headline by Moskovskie Novosti). This is the question about the prospects of democratic reforms in this country, a country which, according to Izvestia”, allows the existence of “black holes” – “where the regulations strictly observed in the rest of Russia are dead, where the presence of the state is not compulsory, where there is not only a legal vacuum (primarily the invalidity of international law) but also the absence of elementary mercy.” Izvestia headlined an article about the exchange of Babitsky for two Russian soldiers with Stakin’s well-known phrase: “No person – no problem”.

Segodnya assumes that the possibility cannot be ruled out that there was no exchange at all, and that Babitsky is simply hidden in a remote place and will be kept there until the presidential election: “Until March 26 he will probably be kept in a basement somewhere, and then triumphantly and gloriously released, because after the election he will no longer pose any threat.” The paper believes that the special operation to neutralize the journalist is supervised by “a person close to Putin and loyal to him”. The paper allows for the possibility that Putin himself does not know all the particulars of the operation, “but it is unlikely that he is absolutely unaware of what is going on”.

The main question is exactly what Babitsky learned in Chechnya that made it necessary to neutralize him. We can only guess: “It is fairly possible that Babitsky met in Grozny with guerrilla leaders, and the latter told him the truth about Basaev’s meeting in France with high-ranking Russian officials, about the true causes of Basaev’s and Khattab’s raid into Dagestan, which was futile from the very beginning, and also about those who had actually blown up apartment blocks in Russian cities. Perhaps they not only told him all this, but also provided him with conclusive evidence.” One way or another, “by the time of the presidential election Putin’s team must get rid of this witness who is capable of ruining Putin’s career.”

In such a context, an even more tragic scenario – Babitsky’s assassination – does not seem so much improbable. “Perhaps his body will soon be found somewhere in Chechnya, or certain ‘witnesses’ will emerge and give the details of his death.(…)”

Between two parts of the text: calculated molecules:
#P
{"formula": "C4H12N2O2", "method": "ωB97M-V/def2-TZVPD", "lumo_ev": 0.91, "homo_ev": -8.83, "homo_lumo_gap_ev": 9.736, "symbols": ["C", "C", "C", "H", "H", "H", "H", "H", "H", "H", "H", "C", "N", "O", "O", "N", "H", "H", "H", "H"], "positions_angstrom": [[1.98962, 0.12401, -0.62388], [1.39140, 1.33247, 0.60699], [0.98837, -0.10655, -1.69226], [2.25591, -0.76812, -0.06100], [2.88229, 0.66767, -0.92398], [0.98815, 0.69615, -2.42803], [0.39114, 1.53201, 1.00140], [2.19787, 1.42408, 1.33286], [1.46564, 2.20973, -0.03268], [-0.03312, -0.16904, -1.23230], [1.14761, -1.07347, -2.17029], [-1.06788, -1.05533, 1.08696], [-2.93911, -0.25001, 0.04705], [0.16966, -1.04792, 1.43911], [-1.90052, -1.81940, 1.81029], [-1.49549, -0.23580, 0.16244], [0.77203, -0.05522, 0.97102], [-2.79670, -1.58128, 1.49009], [-3.24671, 0.71826, 0.12412], [-3.16015, -0.54225, -0.90794]]}

=====

#Q
{"formula": "C4H12N2O2", "method": "ωB97M-V/def2-TZVPD", "smiles": "COC(N)=O.CNC", "lumo_ev": 0.87, "homo_ev": -8.47, "homo_lumo_gap_ev": 9.339, "symbols": ["C", "O", "C", "N", "O", "H", "H", "H", "H", "H", "C", "N", "C", "H", "H", "H", "H", "H", "H", "H"], "positions_angstrom": [[-1.87443, -0.80788, 0.10483], [-1.24892, -1.36146, 1.25570], [-0.60609, -0.51371, 2.07818], [-0.17870, -1.17368, 3.18289], [-0.43876, 0.66494, 1.88750], [-2.90549, -1.17632, 0.07919], [-1.33316, -1.12662, -0.78516], [-1.86166, 0.27866, 0.15504], [-0.28028, -2.17056, 3.24835], [0.40204, -0.68777, 3.84499], [0.41994, 1.76549, -1.92532], [0.53137, 0.61825, -1.05174], [1.70263, -0.18569, -1.31822], [1.29836, 2.43263, -1.89183], [0.29812, 1.41490, -2.95419], [-0.46265, 2.33808, -1.64348], [0.52654, 0.92387, -0.08153], [1.63562, -0.57904, -2.33549], [1.72371, -1.02269, -0.62072], [2.65180, 0.36861, -1.22897]]}

=====

#R
{"formula": "C4H12N2O2", "method": "ωB97M-V/def2-TZVPD", "smiles": "CNCCNC=O.O", "lumo_ev": 0.85, "homo_ev": -9.63, "homo_lumo_gap_ev": 10.480, "symbols": ["C", "N", "C", "C", "N", "C", "O", "H", "H", "H", "H", "H", "H", "H", "H", "H", "H", "O", "H", "H"], "positions_angstrom": [[1.97860, 0.08869, -1.25542], [0.82999, -0.74596, -0.91988], [0.62451, -0.87483, 0.54071], [0.00385, 0.39677, 1.09241], [-1.45922, 0.42045, 0.95743], [-2.19317, -0.32145, 1.80815], [-1.74259, -1.18344, 2.53473], [2.80062, 0.03746, -0.52491], [2.42014, -0.19142, -2.21854], [1.69525, 1.13835, -1.37397], [0.98324, -1.68125, -1.27107], [-0.08809, -1.68545, 0.67299], [1.54685, -1.13046, 1.06389], [0.41514, 1.25927, 0.58189], [0.18394, 0.46547, 2.16415], [-1.88226, 1.07985, 0.32314], [-3.26331, -0.05787, 1.80458], [-1.02095, 1.38262, -1.86840], [-0.47111, 0.67455, -1.46451], [-1.36142, 0.92864, -2.64735]]}

=====

#S
Here the text continues:

If we assume that at least one of the paper’s versions corresponds to reality, we will be forced to agree with Boris Nemtsov, a leader of the Union of the Right Forces, who states in an interview with Nezavisimaya Gazeta: “Putin’s success and the high level of his popularity among the Russian electorate are connected with the fact that people do not know what he is.”

Nemtsov states that such a position is very advantageous on the eve of the election, for “Putin as a myth can win many voters over to his side – everyone will fill this myth with their own content, and that suits Putin perfectly. However, I would still like to know what we are to anticipate from him.” Perhaps the story with Babitsky will be an answer to this question.